Meal Guidance
Welcome to Pro Fitness Personal Trainer
“Lifting women to build a strong foundation”
I am delighted to have you join my program and can't wait for you to start your personal journey of health. Part of your success in getting a fit body, getting strong, and in shape is your diet, 60% of your success will be achieved by what you eat, and how you eat. I created a meal guidance program for my clients to teach you that just working out alone is not enough to achieve your ultimate body goal and image.
I learned the hard way, I am IFBB Pro Bikini Competitor, I had 12 to 14 weeks to prepare for a show, to get in the best shape of my life so that I can compete with hundreds of women who were also in tip top shape, the competition was fierce, and I knew what I was up against. So, I hired a coach, he gave me a diet and workout regimen, and I followed that diet to a T, no mistakes, no cheat days, it was strictly diet and working out, 7 days a week. Time was against me, and there was no room for failure. I put in hours of cardio, I put together boring and bland meals based on what my coach told me to eat, when I say boring, I remember one show prep, I was eating nothing but fish and veggies, and I was able to eat some egg-whites in the morning, and have two protein shakes. My protein was high, my calories were low, the food was very repetitive, but it was what I had to do to compete on stage.
The problem with this is that by doing these diets, show preps, it created these extreme habits in me. I developed a bad relationship with food and poor body image. I felt I did not look good unless I was in contest shape. I began to think if I can get my body to this level, then I should be able to always look like this, no excuses. It created a phobia in my social life, I didn't like to go out to eat, or to parties, it was really sad, their were times I could not enjoy a hamburger, or some pizza occasionally without feeling guilty. If it wasn't a chicken breast and veggies, or some type of concoction that I would make, then I struggled to eat other foods. I had to evolve, I had to find new ways, because I knew the old strategy of extreme dieting no longer served my purpose. My husband needed someone who wasn't always obsessing over the type of food I wanted to eat, he needed me to enjoy my life with him and together, so we could go out for a nice dinners and not be stressed out. Don't get me wrong, I still battle, but I figured out a new strategy, and how I can eat a variety of foods, and create healthy meals that are not boring, and that I enjoy, so it doesn't feel as if I am dieting, I like what I eat, I eat pretty much the same 80% of the time, and I am still able the 20% to enjoy pizza, dessert, a couple of glasses of wine without the guilt. If I have a bad day, I just start back up the next day, and just move forward.
<<<
1.
SrPSe: optimized geometry, GGA-PBE.

a b c (Å): 4.1967 6.4927 6.4927
angles (deg): 81.30 90.00 90.00
Closest atoms and distances in Å follow each position.
Sites, in units of the cell vectors:
1 Sr 0.0000 0.2357 0.7643  4 Se 3.02-3.20, 2 P 3.23-3.27
2 Sr 0.0000 0.7643 0.2357  4 Se 3.02-3.20, 2 P 3.23-3.27
3 P 0.0000 0.2636 0.2636  2 P 2.27
4 P 0.5000 0.3523 0.3523  2 P 2.27, 1 Se 2.36
5 Se 0.5000 0.5915 0.5915  1 P 2.36
6 Se 0.5000 0.9113 0.9113  4 Sr 3.02, 1 Se 3.15

Computed properties:
Magnetic moment: 0.00 μB per cell
Space group: No. 38
Energy relative to the elements, uncorrected: -1.029 eV per atom

2.
Mg2Ga2Sn7: optimized geometry, GGA-PBE.

a b c (Å): 6.6989 6.6989 7.3776
angles (deg): 108.48 108.48 82.94
Closest atoms and distances in Å follow each position.
Sites, in units of the cell vectors:
1 Mg 0.1774 0.8226 0.0000  6 Sn 3.01-3.28, 2 Ga 3.12, 1 Mg 3.15
2 Mg 0.8226 0.1774 0.0000  6 Sn 3.01-3.28, 2 Ga 3.12, 1 Mg 3.15
3 Ga 0.2258 0.2258 0.3657  4 Sn 2.76-2.86
4 Ga 0.7742 0.7742 0.6343  4 Sn 2.76-2.86
5 Sn 0.0000 0.0000 0.5000  2 Ga 2.83, 4 Sn 3.02
6 Sn 0.0722 0.5702 0.2297  1 Ga 2.76, 2 Mg 3.01-3.02, 2 Sn 3.02-3.07
7 Sn 0.4298 0.9278 0.7703  1 Ga 2.76, 2 Mg 3.01-3.02, 2 Sn 3.02-3.07
8 Sn 0.4542 0.4542 0.7629  1 Ga 2.86, 2 Sn 3.14
9 Sn 0.5458 0.5458 0.2371  1 Ga 2.86, 2 Sn 3.14
10 Sn 0.5702 0.0722 0.2297  1 Ga 2.76, 2 Mg 3.01-3.02, 2 Sn 3.02-3.07
11 Sn 0.9278 0.4298 0.7703  1 Ga 2.76, 2 Mg 3.01-3.02, 2 Sn 3.02-3.07

Computed properties:
Formation energy: 0.03 eV/atom
Magnetic moment: 0.00 μB per cell
Space group: No. 12

3.
Sb2TeW: optimized geometry, GGA-PBE.

a b c (Å): 10.0241 10.0241 10.0241
angles (deg): 19.45 19.45 19.45
Closest atoms and distances in Å follow each position.
Sites, in units of the cell vectors:
1 Sb 0.2339 0.2339 0.2339  3 W 2.78
2 Sb 0.7661 0.7661 0.7661  3 W 2.78
3 Te 0.0000 0.0000 0.0000  6 Te 3.39, 6 Sb 3.53
4 W 0.5000 0.5000 0.5000  6 Sb 2.78

Computed properties:
Magnetic moment: 0.00 μB per cell
Space group: No. 166
Energy relative to the elements, uncorrected: 0.361 eV per atom

4.
Ni3HgRh: optimized geometry, GGA-PBE.

a b c (Å): 4.5565 4.5565 4.5565
angles (deg): 90.00 90.00 90.00
Closest atoms and distances in Å follow each position.
Sites, in units of the cell vectors:
1 Ni 0.0000 0.0000 0.5000  2 Rh 2.28
2 Ni 0.0000 0.5000 0.0000  2 Rh 2.28
3 Ni 0.5000 0.0000 0.0000  2 Rh 2.28
4 Hg 0.5000 0.5000 0.5000  12 Ni 3.22
5 Rh 0.0000 0.0000 0.0000  6 Ni 2.28

Computed properties:
Formation energy: 1.08 eV/atom
Magnetic moment: 3.40 μB per cell
Energy above the most stable polymorph in this dataset: 0 meV per atom
Space group: No. 221

5.
PuN2Cl3: optimized geometry, GGA-PBE.

a b c (Å): 5.4199 8.2463 10.0044
angles (deg): 90.00 105.64 90.00
Closest atoms and distances in Å follow each position.
Sites, in units of the cell vectors:
1 Pu 0.0002 0.2500 0.0000  6 Cl 2.71-2.72
2 Pu 0.9998 0.7500 0.0000  6 Cl 2.71-2.72
3 N 0.3127 0.2500 0.6280  5 Cl 3.58-3.86, 2 N 3.66
>>>
After I made the decision to not compete, my doctor ran my blood work, and my protein levels came back super high, I had blood in my urine, my kidneys were so stressed. I gained a lot of weight just trying to eat normal again. I also went into peri -menopause really early, and almost menopause as I didn't have a period for 8 months. So I started researching and researching the best approach to loose weight, and to do it without being extreme. I wanted to make this a lifestyle, and what I was doing with competitions wasn't going to work anymore. My new way of eating had to make sense, and be more science based. And I realize that I had to get back to the basics, and start knowing my body, tracking my food, and finding out how many calories my body needed to maintain my weight, or loose weight. I hope with the struggles that I have faced, I can help others who are frustrated as well.
The definition of insanity is doing the same thing over and over and expecting a different result and if you are feeling stuck right now because you're in a new season of life... remind yourself that in order to change you MUST change, the strategy, the plan, the mindset, all of it!!
Thank you for believing in me to guide you on your fitness journey!!
Jennifer Pimentel
Owner of Pro Fitness Personal Trainer
Meal Guidance
You may notice you are having trouble losing the weight you want without adjusting your eating habits. This might help get you to your goals.
Standard Meal Plan
Sample Meal Plan to get you started
Your Macros and Calories are not calculated
Must be a client of mine to receive this plan
Meal Guidance - The whole Package
I set up your macros, and your calorie intake
I create two meal plans according to your macro
settings -
Weekly and monthly Check - Ins
No restrictive meal plans
Changes to meal plans or adding new plans is an additional $150.00
Changes to calories or macros is a fee of $50.00